Title: You Think You Know What's To Come (Part II)
Author: Oracleholly
Rating: R
Characters: Spike/Buffy
Summary: Pre-BTVS, Spike has a nightmare….
Prompt Set #1
Prompt: 2- Nightmares
Word Count: 1159
Disclaimer: Joss, Fox, & ME all own, in their respective ways, these characters, I just like to play with them.
A/N: Nightmare *wink, wink* world in italics. Thank you to Spikeslovebite for betaing and the giving of advice.

Spike found himself in a foreign room. From the smell and décor, it was obviously a mausoleum complete with cobwebs in the corners and dust everywhere. Something inside him told him that this wouldn't do. Eerily, that voice sounded like William, the ponce. Despite wanting to be able to tell his inner William to sod off, he found himself searching for what he needed to make the place presentable. He knew 'she' was coming. It had to be perfect for 'her'.

Pushing the lid off a stone slab, he uncovered a stash of Oriental rugs locked in the eternal, skeletal embrace of their previous owner. "You're not going to need these anymore. Thanks ever so," he told the skeleton as he removed the rugs. After diligently arranging them so that no part of the dirty floor was showing - it wouldn't do for her delicate feet to touch such filth - he searched for the appropriate lighting.

He found a trapdoor leading to a lower level of this crypt. How he had known where to look he didn't know. Parts of the crypt felt very familiar to him, even though he knew he'd never been there before. He wasn't even sure where 'here' was.

On the lower level he found a trunk full of vanilla candles. He normally wouldn't have chosen the vanilla scent, but he 'knew' it was 'her' scent. Carrying several candles at a time back to the upper level, he used his ever-present lighter to ignite each wick. The aroma pleased and soothed his demon. Soon, something told him.

As Spike saw the door begin to open, he retreated to the shadows in anticipation of seeing 'her.' A small slip of a girl stepped inside. She was young; her baby fat still remained in her cheeks, her arms and her thighs. But he could tell that once that melted with maturity, she would be a hell of a woman. His cock sprung to attention as his nostrils were filled with that enchanting scent that screamed 'Slayer.'

'His Slayer': that mantra kept echoing through his mind. She was wearing next to nothing, just a scrap of emerald green silk. He could tell that she hadn't sensed him, yet. Right as she was about to wrap her arms around herself, he spoke, "Don't hide yourself, luv. Let me look at you." He wanted to race to her right then. "Turn around for me, yeah?"

He fought to take out his cock and began stroking himself when she started to do as he commanded. Somehow knowing that she would turn too quickly to make it enjoyable, he ordered, "Slow-ly." His voice almost cracked when he saw her tremble at the sound of his voice. His demon needed to touch her, needed to feel her in his arms, wanted to taste her blood.

"Come to me, luv?"

He watched as she searched in vain for his location, so he moved with preternatural speed to the wall behind her. "Where are you? I can't find you." Her voice was melodious.

He approached her from behind and encircled his arms around her. "I'm right here, pet." Her firm ass was pressed against his erection, and then the little minx moved against it. He hissed at the feel… at the promise of her body.

== Materials data from another source follow ==
'''
Material: Dy3Al2
Method: DFT, GGA-PBE
State: optimized geometry

```
Dy3Al2
1.0
8.230 0.000 0.000
0.000 8.230 0.000
0.000 0.000 7.597
Al Dy
8 12
Direct
0.881 0.881 0.194 Al
0.381 0.619 0.306 Al
0.619 0.381 0.694 Al
0.381 0.619 0.694 Al
0.619 0.381 0.306 Al
0.881 0.881 0.806 Al
0.119 0.119 0.194 Al
0.119 0.119 0.806 Al
0.650 0.650 0.000 Dy
0.298 0.298 0.500 Dy
0.500 0.000 0.250 Dy
0.000 0.500 0.750 Dy
0.150 0.850 0.500 Dy
0.850 0.150 0.500 Dy
0.500 0.000 0.750 Dy
0.000 0.500 0.250 Dy
0.702 0.702 0.500 Dy
0.350 0.350 0.000 Dy
0.798 0.202 0.000 Dy
0.202 0.798 0.000 Dy
```

## Properties
Energy of formation: -0.324 eV per atom
Density: 6.99 g/cm3
D(E_F): 24.893 states/eV per cell
Magnetization: 0.00 Bohr magnetons per cell

~~~~~

1.
Compound: CaCd3
Source: Alexandria via LeMat-Bulk
Functional: PBE
Structure: optimized geometry

As for the calculated formation energy: 0.5178 eV per atom. The value obtained for the total energy is -0.049 Ry per atom. As for the density of states at the Fermi level: 3.0 states/eV per cell. Its space-group type is Pm-3m (221).

Unit cell a=6.4535 b=6.4535 c=6.4535 alpha=90.00 beta=90.00 gamma=90.00
Closest atoms and distances in Å follow each position.
Element x y z (fractional)
Cd (0.0000, 0.5000, 0.0000)  2 Ca 3.23
Cd (0.5000, 0.0000, 0.0000)  2 Ca 3.23
Cd (0.0000, 0.0000, 0.5000)  2 Ca 3.23
Ca (0.0000, 0.0000, 0.0000)  6 Cd 3.23

2.
Compound: Ca2Cd
Source: Alexandria via LeMat-Bulk
Functional: PBE
Structure: optimized geometry

As for the calculated formation energy: -0.2059 eV per atom. The value obtained for the total energy is -0.136 Ry per atom. As for the density of states at the Fermi level: 6.3 states/eV per cell. Its space-group type is Cmcm (63).

Unit cell a=8.9690 b=8.9690 c=5.7116 alpha=90.00 beta=90.00 gamma=154.60
Closest atoms and distances in Å follow each position.
Element x y z (fractional)
Ca (0.7993, 0.2007, 0.5000)  6 Cd 3.29-3.47
Ca (0.9425, 0.0575, 0.0000)  2 Cd 3.24, 4 Ca 3.62
Ca (0.5019, 0.4981, 0.5000)  2 Cd 3.24, 4 Ca 3.62
Ca (0.6452, 0.3548, 0.0000)  6 Cd 3.29-3.47
Cd (0.1489, 0.8511, 0.5000)  8 Ca 3.24-3.47
Cd (0.2955, 0.7045, 0.0000)  8 Ca 3.24-3.47

3.
Compound: Ca2Cd
Source: Alexandria via LeMat-Bulk
Functional: PBE
Structure: optimized geometry

As for the calculated formation energy: -0.2420 eV per atom. The value obtained for the total energy is -0.138 Ry per atom. As for the density of states at the Fermi level: 4.9 states/eV per cell. Its space-group type is I4/mcm (140).

Unit cell a=6.4459 b=6.4459 c=6.4459 alpha=105.71 beta=105.71 gamma=117.30
Closest atoms and distances in Å follow each position.
Element x y z (fractional)
Cd (0.2500, 0.2500, 0.0000)  8 Ca 3.34, 2 Cd 3.35
Cd (0.7500, 0.7500, 0.0000)  8 Ca 3.34, 2 Cd 3.35
Ca (0.6699, 0.8301, 0.5000)  4 Cd 3.34, 1 Ca 3.74
Ca (0.3301, 0.1699, 0.5000)  4 Cd 3.34, 1 Ca 3.74
Ca (0.8301, 0.3301, 0.1602)  4 Cd 3.34, 1 Ca 3.74
Ca (0.1699, 0.6699, 0.8398)  4 Cd 3.34, 1 Ca 3.74

4.
Compound: Ca2Cd
Source: Alexandria via LeMat-Bulk
'''

Cupping her breasts roughly, he started to massage them. He smiled into her hair at how her nipples were so responsive; he longed to bite them. Like a cat, she arched back and more of her mounds were thrust into his hands.

He had to taste her. Sliding his face down the side of her head, he pressed his forehead against her cheek as he started licking the ivory column of her throat. She tasted of sunlight and daisies, of sugar and, strangely, of ice. His demon relished that this Slayer was not pushing him away… was actually inviting him to do more. He felt her thin but powerful fingers in his hair and cradling the back of his head.

He couldn't help it, he purred as his ridges caressed her cheek. And then she spun and he feared their dance might be over. He could see her eyes now - a glorious green that were more pronounced given her attire. He watched as she studied his face and then to his pleasure and surprise she traced her delicate fingers across his brow.

"Let me see you," she said.

"This is me, pet. I'm a big bad," he answered, trying to remind of that he really was a vampire - or was he trying to remind himself?

"No, you're not. I can tell. Show me." He focused on how her lower lip protruded in the cutest pout he'd ever seen. "Please?"

Shaking off his demon, he looked at her with his human face. To his relief, she looked happy. "There you are. There's my guy." He felt joy that he was 'her guy.'

"Let me see you, pet," Spike asked.

"This is me, silly. I'm just a girl."

"No, you're not, luv. Show me," Spike whispered as he claimed her succulent lower lip.

After a small moan, she stepped out of his arms. He immediately felt a pronounced sense of loss. "Alright," she answered. He hungrily watched as she moved to take off her shift.

As one strap fell and then another, he saw that her skin was covered with gray mud, as were her legs. Her glorious, golden hair immediately became a dirty blonde, braided into at least twenty knotted braids. Her face was not only adorned with the gray mud but also black charcoal encircling her eyes and lips giving her a feral appearance.

"There you are," Spike said and reached for her. "There's my girl. There's my Slayer!"

Spike awoke gasping for unneeded air. He looked around the room, and much to his relief, he realized that he was still in Prague. The familiar sight and sounds of the hotel room he shared with Drusilla welcomed him from his nightmare. He turned to his left and discovered his Drusilla fast asleep. He could tell by the filtered sunlight though the heavy drapes that it was early afternoon.

Misplaced crystal structures =
┌──
No. 1
Material: NaCo2ReI
Method: DFT, PBE-GGA
State: relaxed

Theoretical density, g cm⁻³: 7.30
E_form (uncorrected), eV per atom: 2.415

a = 4.5326 Å, b = 4.5326 Å, c = 5.0275 Å
α = 90.00°, β = 90.00°, γ = 90.00°
Closest atoms and distances in Å follow each position.
Space group P4/mmm (No. 123)
Inequivalent atoms, fractional coordinates:
Na (0.0000, 0.0000, 0.0000)  4 Co 2.27, 2 I 2.51
Co (0.0000, 0.5000, 0.0000)  2 Na 2.27
Re (0.5000, 0.5000, 0.5000)  4 I 3.21, 8 Co 3.38
I (0.0000, 0.0000, 0.5000)  2 Na 2.51



No. 2
Material: NaCoRu2I
Method: DFT, PBE-GGA
State: relaxed

Theoretical density, g cm⁻³: 6.36
E_form (uncorrected), eV per atom: 1.117

a = 4.4991 Å, b = 4.4991 Å, c = 5.3020 Å
α = 90.00°, β = 90.00°, γ = 90.00°
Closest atoms and distances in Å follow each position.
Space group P4/mmm (No. 123)
Inequivalent atoms, fractional coordinates:
Na (0.0000, 0.0000, 0.0000)  4 I 3.18, 8 Ru 3.48
Co (0.5000, 0.5000, 0.5000)  4 Ru 2.25
Ru (0.0000, 0.5000, 0.5000)  2 Co 2.25
I (0.5000, 0.5000, 0.0000)  2 Co 2.65



No. 3
Material: NaCoSbI2
Method: DFT, PBE-GGA
State: relaxed

Distance to the lowest polymorph of the same formula, meV per atom: 0
Theoretical density, g cm⁻³: 4.93
E_form (uncorrected), eV per atom: -0.079

a = 5.7151 Å, b = 5.7151 Å, c = 4.7144 Å
α = 90.00°, β = 90.00°, γ = 90.00°
Closest atoms and distances in Å follow each position.
Space group P4/mmm (No. 123)
Inequivalent atoms, fractional coordinates:
Na (0.0000, 0.0000, 0.0000)  8 I 3.70, 4 Sb 4.04
Co (0.5000, 0.5000, 0.5000)  2 Sb 2.36
Sb (0.5000, 0.5000, 0.0000)  2 Co 2.36
I (0.0000, 0.5000, 0.5000)  2 Co 2.86



No. 4
Material: NaCoSbI2
Method: DFT, PBE-GGA
State: relaxed

Distance to the lowest polymorph of the same formula, meV per atom: 1035
Theoretical density, g cm⁻³: 4.00
E_form (uncorrected), eV per atom: 0.957

a = 5.7023 Å, b = 5.7023 Å, c = 5.8435 Å
α = 90.00°, β = 90.00°, γ = 90.00°
Closest atoms and distances in Å follow each position.
Space group P4/mmm (No. 123)
Inequivalent atoms, fractional coordinates:
Na (0.0000, 0.0000, 0.0000)  4 I 2.85, 2 Sb 2.92
Co (0.5000, 0.5000, 0.5000)  4 Sb 4.03, 8 I 4.08
Sb (0.0000, 0.0000, 0.5000)  2 Na 2.92
I (0.0000, 0.5000, 0.0000)  2 Na 2.85



| no. | DOS at the Fermi energy (states/eV/f.u.) |
| --- | --- |
| 1 | 9.94 |
| 2 | 8.23 |
| 3 | 1.03 |
| 4 | 10.46 |


Compound: ScP3O9
Source: the Alexandria database
Functional: meta-GGA SCAN
Structure: single point on PBEsol structure

Lattice parameters (Å, degrees): 12.501 12.501 12.501 109.47 109.47 109.47
Element x y z (fractional)
1 Sc 0.000 0.208 0.500
2 Sc 0.000 0.708 0.500
3 Sc 0.208 0.500 0.000
4 Sc 0.292 0.292 0.292
5 Sc 0.500 0.000 0.208
6 Sc 0.500 0.000 0.708
7 Sc 0.708 0.500 0.000
8 Sc 0.792 0.792 0.792
9 P 0.043 0.332 0.124
10 P 0.081 0.957 0.789
11 P 0.124 0.043 0.332
12 P 0.168 0.211 0.792
13 P 0.208 0.876 0.419
14 P 0.211 0.792 0.168
15 P 0.289 0.457 0.581
16 P 0.292 0.711 0.668
17 P 0.332 0.124 0.043
18 P 0.376 0.708 0.919
19 P 0.419 0.208 0.876
└──
The entry goes on =

Spike caressed Drusilla's shoulder with affection; however, as his fingers touched her skin, his mind reeled with the thought … it's not her. It's not his Slayer.

He jumped out of bed quickly least Drusilla somehow sense his betrayal in her sleep. Stranger things have been known to happen with her. A century with his ripe, wicked plum had taught him caution sometimes really was the best policy.

He exited the bedroom and began pacing around the rest of their suite. The scent of vanilla halted his pacing, and he turned to find such a candle burning on a plate placed on the ottoman. Walking over to the candle, he picked it up and caught himself sniffing its delectable scent for a moment before coming to his senses and extinguishing it.

Bloody nightmare!